This site is an always-in-progress repository for my thoughts and ideas. You'll generally find me writing about sustainability 🍃, urbanism 🏙️, programming 💾, vegan cooking 🍛, and whatever else pops into my mind.
Dumping thoughts with TiddlyWiki
Published on May 5th, 2016.

I recently discovered TiddlyWiki while searching around for an alternative for my current brain dumping solution, vimwiki. I really enjoy having a place where I can jot down notes, keep a personal journal, and just write for my future self to read. For the last 4 years vimwiki has been my pick for this. It’s simple, easy to use, and let me keep my thoughts in portable text files that I could parse and back up easily.

Materials data, kept here for reference:
********
No. 1
Compound: CrH14N3O8
Source: Materials Project
Functional: GGA+U
Structure: relaxed

Properties
SG	No. 121
magnetization	0.12	μB/atom
calculated formation energy	-530	meV per atom

abc: 6.7067 6.7067 6.7067
angles: 96.78 116.16 116.16
Last column: nearest neighbours and their distance in Å.
Sites, in units of the cell vectors:
1 H 0.0000 0.6780 0.3421  1 O 1.03
2 H 0.5867 0.4329 0.7823  1 N 1.04
3 H 0.0000 0.3421 0.6780  1 O 1.03
4 H 0.5867 0.7823 0.4329  1 N 1.04
5 H 0.6506 0.8043 0.2177  1 N 1.04
6 H 0.3494 0.1538 0.5671  1 N 1.04
7 H 0.6506 0.2177 0.8043  1 N 1.04
8 H 0.0000 0.3874 0.3874  1 N 1.00
9 H 0.4133 0.1957 0.8462  1 N 1.04
10 H 0.3494 0.5671 0.1538  1 N 1.04
11 H 0.3359 0.6579 0.6579  1 O 1.03
12 H 0.4133 0.8462 0.1957  1 N 1.04
13 H 0.0000 0.6126 0.6126  1 N 1.00
14 H 0.6641 0.3220 0.3220  1 O 1.03
15 O 0.3142 0.0222 0.0222  1 O 1.49
16 O 0.6858 0.7080 0.7080  1 O 1.49
17 O 0.4613 0.2416 0.2416  1 H 1.03
18 O 0.5387 0.7803 0.7803  1 H 1.03
19 O 0.0000 0.9778 0.2920  1 O 1.49
20 O 0.0000 0.2920 0.9778  1 O 1.49
21 O 0.0000 0.7584 0.2197  1 H 1.03
22 O 0.0000 0.2197 0.7584  1 H 1.03
23 N 0.0000 0.5000 0.5000  2 H 1.00
24 N 0.5000 0.2500 0.7500  4 H 1.04
25 N 0.5000 0.7500 0.2500  4 H 1.04
26 Cr 0.0000 0.0000 0.0000  4 O 1.98

***

No. 2
Compound: CrP2H17N4O9
Source: Materials Project
Functional: GGA+U
Structure: relaxed

Properties
SG	No. 14
magnetization	0.09	μB/atom
calculated formation energy	-1259	meV per atom

abc: 13.8944 7.5740 11.7058
angles: 86.44 90.00 90.00
Last column: nearest neighbours and their distance in Å.
Sites, in units of the cell vectors:
1 H 0.5955 0.9873 0.9142  1 N 1.03
2 H 0.6824 0.5099 0.9669  1 O 0.99
3 H 0.2798 0.1625 0.7106  1 N 1.02
4 H 0.5625 0.6689 0.0553  1 N 1.04
5 H 0.2607 0.3234 0.9990  1 O 0.99
6 H 0.7798 0.8375 0.7894  1 N 1.02
7 H 0.6630 0.8838 0.5735  1 O 0.99
8 H 0.5217 0.7758 0.4297  1 N 1.03
9 H 0.7202 0.8375 0.2894  1 N 1.02
10 H 0.0888 0.7933 0.8723  1 N 1.03
11 H 0.9800 0.3835 0.1489  1 N 1.03
12 H 0.3370 0.1162 0.4265  1 O 0.99
13 H 0.4987 0.5661 0.1616  1 N 1.03
14 H 0.7058 0.3127 0.4281  1 O 1.05
15 H 0.3962 0.2872 0.3869  1 O 0.99
16 H 0.7393 0.6766 0.0010  1 O 0.99
17 H 0.5756 0.8473 0.8129  1 N 1.03
18 H 0.8176 0.5099 0.4669  1 O 0.99
19 H 0.6395 0.0292 0.7810  1 N 1.03
20 H 0.4800 0.6165 0.3511  1 N 1.03
21 H 0.9987 0.4339 0.3384  1 N 1.03
22 H 0.0013 0.5661 0.6616  1 N 1.03
23 H 0.9244 0.8473 0.3129  1 N 1.03
24 H 0.5563 0.2891 0.9285  1 N 1.03
25 H 0.0625 0.3311 0.4447  1 N 1.04
26 H 0.0563 0.7109 0.5715  1 N 1.03
27 H 0.6637 0.6508 0.3270  1 N 1.03
28 H 0.0200 0.6165 0.8511  1 N 1.03
29 H 0.9045 0.9873 0.4142  1 N 1.03
30 H 0.7942 0.3127 0.9281  1 O 1.05
31 H 0.9112 0.2067 0.1277  1 N 1.03
32 H 0.2393 0.3234 0.4990  1 O 0.99
33 H 0.3605 0.9708 0.2190  1 N 1.03
34 H 0.7607 0.6766 0.5010  1 O 0.99
35 H 0.5888 0.2067 0.6277  1 N 1.03
36 H 0.2981 0.3101 0.8059  1 N 1.02
37 H 0.8370 0.8838 0.0735  1 O 0.99
38 H 0.2202 0.1625 0.2106  1 N 1.02
39 H 0.1395 0.9708 0.7190  1 N 1.03
********

Unfortunately this ease came with quite a few restrictions. First off, there was no great way for me to edit the wiki on a mobile device; it was limited to my computer only. Secondly, since it was built into a terminal editor from the 70s, there was no way to embed any sort of rich media or interactivity. It was just text. For many people this isn’t a problem, as the only thing they’re looking for is to keep a simple text journal. For the longest time I was on the same boat, however it turns out that I didn’t quite know what I was missing out on.

In comes TiddlyWiki, described as “a unique non-linear notebook for capturing, organising and sharing complex information.” Rather than being in a 70s terminal, TiddlyWiki runs within your web browser. This allows articles to embed images, videos, text, and even interactive widgets (implemented in javascript). So far so good, but what about durability? One of my favorite aspects of vimwiki was that its “database format” was just text files, ensuring that there was zero lock in. TiddlyWiki advertises that it lets you choose how to store your data, “guaranteeing that in the decades to come you will still be able to use the notes you take today.” I was skeptical at first, as their normal method of saving consists of re-saving itself as a single html file that you download. Luckily tiddlywiki5 adds a node-based command line tool which launches a server for the wiki, allowing each tiddler (their word for article) to be saved as its own text file with a simple format:

created: 20160419022137188
creator: user
modified: 20160419022316450
modifier: user
order: 1.9
tags: sidebar
title: Projects
type: text/vnd.tiddlywiki

Article text is everything on this line and below.

As you can see, it’s pretty straightfoward. A simple key-value section at the top (similar to YAML), and the article text below. In this case the order key is a custom value I use in my wiki (you can attach these arbitrary key/values freely to tiddlers), another flexible feature that convinced me to make the switch.

After seeing all of these advantages over vimwiki I decided to make a full switch over. I wrote a quick script which migrated all of my existing vimwiki journal entries into tiddlywiki’s format and was up and running with my brand new wiki in around a half hour. As I was setting up a server for my iPhone to access the wiki I noticed my first annoyance with this new system: the only method of authentication on the node server was using HTTP basic. I found this to be slightly annoying due to web browsers’ built-in login prompts lacking a “remember me” function, forcing me to log in each time I wanted to write. This is a problem, as one of the major selling points for this new wiki was lowering the barrier to write, ideally encouraging me to write down ideas and thoughts more often.

To solve this, I decided to take matters into my own hands and write a small Ruby application called twproxy. It acts as a lightweight reverse-proxy which adds a cookie-based authentication method to protect the wiki behind it. If you’re messing around with Tiddlywiki and are thinking about using it on a publicly exposed server, this might be the solution to making sure it stays protected. I’ve been using it for the last month or so without issues and have been happy that I’ve finally written some code that I use myself on a daily basis.

All in all, I’d highly recommend Tiddlywiki for those who are either interested in a more functional wiki or for those who have never had a personal wiki before. I’ve found having a place to dump my thoughts and ideas to be immensely valuable from both a utilitarian and nostalgic standpoint. The added niceties TiddlyWiki provides has done a great job of making my writing more interesting and meaningful, something that I’m entirely grateful for and gladly recommend to others.